(Job)
Please find the line underneath that holds "0.1312 0.6739", then write out that line and all lines after it there.

(File)
┌──
LaMg2NiH7 | PBE | optimized geometry

Output
As for the crystal system: monoclinic. The calculated formation energy is -496.1 kJ/mol of formula units.

Unit cell a=13.8693 b=4.6748 c=16.0152 alpha=90.00 beta=124.83 gamma=90.00
Space group P2_1/c (No. 14)
Unique sites:
La1 0.2191 0.2413 0.0071 (multiplicity 4)
La2 0.2803 0.2325 0.7873 (multiplicity 4)
Mg1 0.0929 0.7362 0.0918 (multiplicity 4)
Mg2 0.0995 0.7394 0.7906 (multiplicity 4)
Mg3 0.3999 0.7469 0.1883 (multiplicity 4)
Mg4 0.4066 0.7412 0.9969 (multiplicity 4)
Ni1 0.0048 0.2249 0.1132 (multiplicity 4)
Ni2 0.4954 0.2219 0.1090 (multiplicity 4)
H1 0.0196 0.0925 0.8657 (multiplicity 4)
H2 0.0580 0.1317 0.7201 (multiplicity 4)
H3 0.1046 0.2271 0.0935 (multiplicity 4)
H4 0.1233 0.7174 0.9812 (multiplicity 4)
H5 0.2004 0.7379 0.7400 (multiplicity 4)
H6 0.2160 0.0381 0.3753 (multiplicity 4)
H7 0.2346 0.5134 0.3868 (multiplicity 4)
H8 0.2617 0.5057 0.1494 (multiplicity 4)
H9 0.2891 0.0324 0.1623 (multiplicity 4)
H10 0.2986 0.7307 0.0377 (multiplicity 4)
H11 0.3778 0.6972 0.8595 (multiplicity 4)
H12 0.3945 0.2262 0.4929 (multiplicity 4)
H13 0.4563 0.1312 0.6739 (multiplicity 4)
H14 0.4850 0.0994 0.8530 (multiplicity 4)


LaMg2H7Pd | PBE | optimized geometry

Output
As for the crystal system: orthorhombic. The calculated formation energy is -392.7 kJ/mol of formula units.

Unit cell a=4.7663 b=8.1111 c=11.7536 alpha=90.00 beta=90.00 gamma=90.00
Space group P2_12_12_1 (No. 19)
Unique sites:
La1 0.0011 0.0508 0.2193 (multiplicity 4)
Mg1 0.0022 0.7737 0.8983 (multiplicity 4)
Mg2 0.0157 0.1588 0.8993 (multiplicity 4)
H1 0.0229 0.9685 0.8006 (multiplicity 4)
H2 0.0317 0.8250 0.3896 (multiplicity 4)
H3 0.0343 0.9000 0.6307 (multiplicity 4)
H4 0.0969 0.1593 0.4472 (multiplicity 4)
H5 0.1135 0.4850 0.4823 (multiplicity 4)
H6 0.2240 0.7864 0.2130 (multiplicity 4)
H7 0.2474 0.7061 0.7670 (multiplicity 4)
Pd1 0.0300 0.4723 0.0053 (multiplicity 4)


NaLaH2S2O9 | PBE | optimized geometry

Output
As for the crystal system: trigonal. The calculated formation energy is -3313.1 kJ/mol of formula units.

Unit cell a=7.2026 b=7.2026 c=12.8159 alpha=90.00 beta=90.00 gamma=120.00
Space group P3_1 (No. 144)
Unique sites:
Na1 0.0026 0.4782 0.0000 (multiplicity 3)
La1 0.4408 0.0020 0.1666 (multiplicity 3)
H1 0.0379 0.9415 0.8723 (multiplicity 3)
H2 0.0920 0.0588 0.4563 (multiplicity 3)
S1 0.0032 0.4384 0.7532 (multiplicity 3)
S2 0.4423 0.0022 0.9136 (multiplicity 3)
O1 0.0936 0.0049 0.1637 (multiplicity 3)
O2 0.1204 0.6189 0.6779 (multiplicity 3)
O3 0.1283 0.3748 0.3119 (multiplicity 3)
O4 0.1361 0.6210 0.1766 (multiplicity 3)
O5 0.1542 0.4066 0.8201 (multiplicity 3)
O6 0.3700 0.1276 0.3551 (multiplicity 3)
O7 0.4101 0.1529 0.8467 (multiplicity 3)
O8 0.4966 0.3769 0.6554 (multiplicity 3)
O9 0.5186 0.3838 0.1569 (multiplicity 3)


NaLaH2S2O9 | PBE | optimized geometry

Output
As for the crystal system: trigonal. The calculated formation energy is -3320.9 kJ/mol of formula units.

Unit cell a=7.1495 b=7.1495 c=13.0588 alpha=90.00 beta=90.00 gamma=120.00
Space group P3_121 (No. 152)
Unique sites:
Na1 0.0000 0.4722 0.1667 (multiplicity 3)
La1 0.0000 0.4357 0.6667 (multiplicity 3)
H1 0.0468 0.0959 0.3723 (multiplicity 6)
S1 0.0122 0.4528 0.9127 (multiplicity 6)
O1 0.0000 0.0807 0.6667 (multiplicity 3)
O2 0.1200 0.6159 0.3471 (multiplicity 6)
O3 0.1272 0.3870 0.4859 (multiplicity 6)
O4 0.1312 0.6370 0.8403 (multiplicity 6)
O5 0.1634 0.4098 0.9731 (multiplicity 6)


LaNb2HO7 | PBE | optimized geometry

Output
As for the crystal system: tetragonal. The calculated formation energy is -2667.9 kJ/mol of formula units.

Unit cell a=3.9263 b=3.9263 c=10.7464 alpha=90.00 beta=90.00 gamma=90.00
Space group P4/mmm (No. 123)
Unique sites:
La1 0.0000 0.0000 0.0000 (multiplicity 1)
Nb1 0.5000 0.5000 0.2186 (multiplicity 2)
H1 0.0000 0.0000 0.5000 (multiplicity 1)
O1 0.0000 0.5000 0.1697 (multiplicity 4)
O2 0.5000 0.5000 0.0000 (multiplicity 1)
O3 0.5000 0.5000 0.3825 (multiplicity 2)


LaNi5H6 | PBE | optimized geometry
└──

(Result)
H13 0.4563 0.1312 0.6739 (multiplicity 4)
H14 0.4850 0.0994 0.8530 (multiplicity 4)


LaMg2H7Pd | PBE | optimized geometry

Output
As for the crystal system: orthorhombic. The calculated formation energy is -392.7 kJ/mol of formula units.

Unit cell a=4.7663 b=8.1111 c=11.7536 alpha=90.00 beta=90.00 gamma=90.00
Space group P2_12_12_1 (No. 19)
Unique sites:
La1 0.0011 0.0508 0.2193 (multiplicity 4)
Mg1 0.0022 0.7737 0.8983 (multiplicity 4)
Mg2 0.0157 0.1588 0.8993 (multiplicity 4)
H1 0.0229 0.9685 0.8006 (multiplicity 4)
H2 0.0317 0.8250 0.3896 (multiplicity 4)
H3 0.0343 0.9000 0.6307 (multiplicity 4)
H4 0.0969 0.1593 0.4472 (multiplicity 4)
H5 0.1135 0.4850 0.4823 (multiplicity 4)
H6 0.2240 0.7864 0.2130 (multiplicity 4)
H7 0.2474 0.7061 0.7670 (multiplicity 4)
Pd1 0.0300 0.4723 0.0053 (multiplicity 4)


NaLaH2S2O9 | PBE | optimized geometry

Output
As for the crystal system: trigonal. The calculated formation energy is -3313.1 kJ/mol of formula units.

Unit cell a=7.2026 b=7.2026 c=12.8159 alpha=90.00 beta=90.00 gamma=120.00
Space group P3_1 (No. 144)
Unique sites:
Na1 0.0026 0.4782 0.0000 (multiplicity 3)
La1 0.4408 0.0020 0.1666 (multiplicity 3)
H1 0.0379 0.9415 0.8723 (multiplicity 3)
H2 0.0920 0.0588 0.4563 (multiplicity 3)
S1 0.0032 0.4384 0.7532 (multiplicity 3)
S2 0.4423 0.0022 0.9136 (multiplicity 3)
O1 0.0936 0.0049 0.1637 (multiplicity 3)
O2 0.1204 0.6189 0.6779 (multiplicity 3)
O3 0.1283 0.3748 0.3119 (multiplicity 3)
O4 0.1361 0.6210 0.1766 (multiplicity 3)
O5 0.1542 0.4066 0.8201 (multiplicity 3)
O6 0.3700 0.1276 0.3551 (multiplicity 3)
O7 0.4101 0.1529 0.8467 (multiplicity 3)
O8 0.4966 0.3769 0.6554 (multiplicity 3)
O9 0.5186 0.3838 0.1569 (multiplicity 3)


NaLaH2S2O9 | PBE | optimized geometry

Output
As for the crystal system: trigonal. The calculated formation energy is -3320.9 kJ/mol of formula units.

Unit cell a=7.1495 b=7.1495 c=13.0588 alpha=90.00 beta=90.00 gamma=120.00
Space group P3_121 (No. 152)
Unique sites:
Na1 0.0000 0.4722 0.1667 (multiplicity 3)
La1 0.0000 0.4357 0.6667 (multiplicity 3)
H1 0.0468 0.0959 0.3723 (multiplicity 6)
S1 0.0122 0.4528 0.9127 (multiplicity 6)
O1 0.0000 0.0807 0.6667 (multiplicity 3)
O2 0.1200 0.6159 0.3471 (multiplicity 6)
O3 0.1272 0.3870 0.4859 (multiplicity 6)
O4 0.1312 0.6370 0.8403 (multiplicity 6)
O5 0.1634 0.4098 0.9731 (multiplicity 6)


LaNb2HO7 | PBE | optimized geometry

Output
As for the crystal system: tetragonal. The calculated formation energy is -2667.9 kJ/mol of formula units.

Unit cell a=3.9263 b=3.9263 c=10.7464 alpha=90.00 beta=90.00 gamma=90.00
Space group P4/mmm (No. 123)
Unique sites:
La1 0.0000 0.0000 0.0000 (multiplicity 1)
Nb1 0.5000 0.5000 0.2186 (multiplicity 2)
H1 0.0000 0.0000 0.5000 (multiplicity 1)
O1 0.0000 0.5000 0.1697 (multiplicity 4)
O2 0.5000 0.5000 0.0000 (multiplicity 1)
O3 0.5000 0.5000 0.3825 (multiplicity 2)


LaNi5H6 | PBE | optimized geometry